**Contents:**
........
Run a
Te6MoW3S2, relaxed, DFT PBE; density = 6.01 g/cm³; space-group type = No. 156
1.0
3.457 0.000 0.000
-1.729 2.994 0.000
0.000 0.000 39.428
Te Mo W S
6 1 3 2
Direct
0.000 0.000 0.000 Te
0.000 0.000 0.094 Te
0.000 0.000 0.376 Te
0.000 0.000 0.470 Te
0.333 0.667 0.188 Te
0.333 0.667 0.282 Te
0.000 0.000 0.859 Mo
0.000 0.000 0.235 W
0.333 0.667 0.047 W
0.333 0.667 0.423 W
0.333 0.667 0.822 S
0.333 0.667 0.897 S

=====

Run b
Te6MoW3S2, relaxed, DFT PBE; density = 6.02 g/cm³; space-group type = No. 156
1.0
3.455 0.000 0.000
-1.728 2.992 0.000
0.000 0.000 39.441
Te Mo W S
6 1 3 2
Direct
0.000 0.000 0.000 Te
0.000 0.000 0.094 Te
0.000 0.000 0.376 Te
0.000 0.000 0.470 Te
0.333 0.667 0.188 Te
0.333 0.667 0.282 Te
0.333 0.667 0.047 Mo
0.000 0.000 0.235 W
0.000 0.000 0.859 W
0.333 0.667 0.423 W
0.333 0.667 0.821 S
0.333 0.667 0.897 S

=====

If we sort the structures by their calculated energies, the order from most to least stable is run b, run a.

=====

Run a
Te6MoW3S2, relaxed, DFT PBE; density = 6.01 g/cm³; space-group type = No. 156
1.0
3.463 0.000 0.000
-1.732 2.999 0.000
0.000 0.000 39.299
Te Mo W S
6 1 3 2
Direct
0.000 0.000 0.000 Te
0.000 0.000 0.094 Te
0.000 0.000 0.376 Te
0.000 0.000 0.470 Te
0.667 0.333 0.564 Te
0.667 0.333 0.658 Te
0.000 0.000 0.235 Mo
0.000 0.000 0.611 W
0.667 0.333 0.047 W
0.667 0.333 0.423 W
0.667 0.333 0.197 S
0.667 0.333 0.273 S

=====

Run b
Te6MoW3S2, relaxed, DFT PBE; density = 6.02 g/cm³; space-group type = No. 156
1.0
3.458 0.000 0.000
-1.729 2.994 0.000
0.000 0.000 39.341
Te Mo W S
6 1 3 2
Direct
0.000 0.000 0.000 Te
0.000 0.000 0.094 Te
0.000 0.000 0.375 Te
0.000 0.000 0.470 Te
0.333 0.667 0.812 Te
0.333 0.667 0.906 Te
0.333 0.667 0.047 Mo
0.000 0.000 0.235 W
0.000 0.000 0.859 W
0.333 0.667 0.423 W
0.333 0.667 0.197 S
0.333 0.667 0.273 S

=====

If we sort the structures by their calculated energies, the order from most to least stable is run b, run a.

=====

Run a
Te2Mo2WS4, relaxed, DFT PBE; density = 4.38 g/cm³; space-group type = No. 156
1.0
3.300 0.000 0.000
-1.650 2.858 0.000
0.000 0.000 30.548
Te Mo W S
2 2 1 4
Direct
0.000 0.000 0.000 Te
0.000 0.000 0.125 Te
0.667 0.333 0.063 Mo
0.667 0.333 0.600 Mo
0.000 0.000 0.831 W
0.000 0.000 0.550 S
0.000 0.000 0.650 S
0.667 0.333 0.781 S
0.667 0.333 0.882 S

=====

Run b
Te2Mo2WS4, relaxed, DFT PBE; density = 4.37 g/cm³; space-group type = No. 156
1.0
3.305 0.000 0.000
-1.653 2.863 0.000
0.000 0.000 30.513
Te Mo W S
2 2 1 4
Direct
0.000 0.000 0.000 Te
0.000 0.000 0.126 Te
0.000 0.000 0.832 Mo
0.667 0.333 0.600 Mo
0.667 0.333 0.063 W
0.000 0.000 0.550 S
0.000 0.000 0.651 S
0.667 0.333 0.782 S
0.667 0.333 0.882 S

=====

If we sort the structures by their calculated energies, the order from most to least stable is run a, run b.

=====

Ba7Ga4As9 | PBE | optimized geometry

Lattice parameters (Å, degrees): 6.9153 10.2618 17.2810 90.00 90.00 90.00
Atoms (fractional coordinates):
Ba (0.4513, 0.5000, 0.7849)
Ba (0.4513, 0.5000, 0.2151)
Ba (0.5487, 0.0000, 0.7151)
Ba (0.5487, 0.0000, 0.2849)
Ba (0.9453, 0.2766, 0.8750)
Ba (0.9453, 0.7234, 0.8750)
Ba (0.9453, 0.2766, 0.1250)
Ba (0.9453, 0.7234, 0.1250)
Ba (0.0547, 0.2234, 0.6250)
Ba (0.0547, 0.7766, 0.6250)
Ba (0.0547, 0.2234, 0.3750)
Ba (0.0547, 0.7766, 0.3750)
Ba (0.4077, 0.5000, 0.5000)
Ba (0.5923, 0.0000, 0.0000)
Ga (0.7652, 0.5000, 0.3756)
Ga (0.7652, 0.5000, 0.6244)
Ga (0.2348, 0.0000, 0.1244)
Ga (0.2348, 0.0000, 0.8756)
Ga (0.5701, 0.8251, 0.5000)
Ga (0.5701, 0.1749, 0.5000)
Ga (0.4299, 0.6749, 0.0000)
Ga (0.4299, 0.3251, 0.0000)
As (0.5583, 0.2914, 0.3711)
As (0.5583, 0.7086, 0.3711)
As (0.5583, 0.2914, 0.6289)
As (0.5583, 0.7086, 0.6289)
As (0.4417, 0.2086, 0.1289)
As (0.4417, 0.7914, 0.1289)
As (0.4417, 0.2086, 0.8711)
As (0.4417, 0.7914, 0.8711)
As (0.9799, 0.5000, 0.2619)
As (0.9799, 0.5000, 0.7381)
As (0.0201, 0.0000, 0.2381)
As (0.0201, 0.0000, 0.7619)
As (0.6988, 0.5000, 0.0000)
As (0.3012, 0.0000, 0.5000)
As (0.1617, 0.5000, 0.0000)
As (0.8383, 0.0000, 0.5000)
........

**What to do:**
Print the whole of the block further up verbatim.

**Result:**
Run a
Te6MoW3S2, relaxed, DFT PBE; density = 6.01 g/cm³; space-group type = No. 156
1.0
3.457 0.000 0.000
-1.729 2.994 0.000
0.000 0.000 39.428
Te Mo W S
6 1 3 2
Direct
0.000 0.000 0.000 Te
0.000 0.000 0.094 Te
0.000 0.000 0.376 Te
0.000 0.000 0.470 Te
0.333 0.667 0.188 Te
0.333 0.667 0.282 Te
0.000 0.000 0.859 Mo
0.000 0.000 0.235 W
0.333 0.667 0.047 W
0.333 0.667 0.423 W
0.333 0.667 0.822 S
0.333 0.667 0.897 S

=====

Run b
Te6MoW3S2, relaxed, DFT PBE; density = 6.02 g/cm³; space-group type = No. 156
1.0
3.455 0.000 0.000
-1.728 2.992 0.000
0.000 0.000 39.441
Te Mo W S
6 1 3 2
Direct
0.000 0.000 0.000 Te
0.000 0.000 0.094 Te
0.000 0.000 0.376 Te
0.000 0.000 0.470 Te
0.333 0.667 0.188 Te
0.333 0.667 0.282 Te
0.333 0.667 0.047 Mo
0.000 0.000 0.235 W
0.000 0.000 0.859 W
0.333 0.667 0.423 W
0.333 0.667 0.821 S
0.333 0.667 0.897 S

=====

If we sort the structures by their calculated energies, the order from most to least stable is run b, run a.

=====

Run a
Te6MoW3S2, relaxed, DFT PBE; density = 6.01 g/cm³; space-group type = No. 156
1.0
3.463 0.000 0.000
-1.732 2.999 0.000
0.000 0.000 39.299
Te Mo W S
6 1 3 2
Direct
0.000 0.000 0.000 Te
0.000 0.000 0.094 Te
0.000 0.000 0.376 Te
0.000 0.000 0.470 Te
0.667 0.333 0.564 Te
0.667 0.333 0.658 Te
0.000 0.000 0.235 Mo
0.000 0.000 0.611 W
0.667 0.333 0.047 W
0.667 0.333 0.423 W
0.667 0.333 0.197 S
0.667 0.333 0.273 S

=====

Run b
Te6MoW3S2, relaxed, DFT PBE; density = 6.02 g/cm³; space-group type = No. 156
1.0
3.458 0.000 0.000
-1.729 2.994 0.000
0.000 0.000 39.341
Te Mo W S
6 1 3 2
Direct
0.000 0.000 0.000 Te
0.000 0.000 0.094 Te
0.000 0.000 0.375 Te
0.000 0.000 0.470 Te
0.333 0.667 0.812 Te
0.333 0.667 0.906 Te
0.333 0.667 0.047 Mo
0.000 0.000 0.235 W
0.000 0.000 0.859 W
0.333 0.667 0.423 W
0.333 0.667 0.197 S
0.333 0.667 0.273 S

=====

If we sort the structures by their calculated energies, the order from most to least stable is run b, run a.

=====

Run a
Te2Mo2WS4, relaxed, DFT PBE; density = 4.38 g/cm³; space-group type = No. 156
1.0
3.300 0.000 0.000
-1.650 2.858 0.000
0.000 0.000 30.548
Te Mo W S
2 2 1 4
Direct
0.000 0.000 0.000 Te
0.000 0.000 0.125 Te
0.667 0.333 0.063 Mo
0.667 0.333 0.600 Mo
0.000 0.000 0.831 W
0.000 0.000 0.550 S
0.000 0.000 0.650 S
0.667 0.333 0.781 S
0.667 0.333 0.882 S

=====

Run b
Te2Mo2WS4, relaxed, DFT PBE; density = 4.37 g/cm³; space-group type = No. 156
1.0
3.305 0.000 0.000
-1.653 2.863 0.000
0.000 0.000 30.513
Te Mo W S
2 2 1 4
Direct
0.000 0.000 0.000 Te
0.000 0.000 0.126 Te
0.000 0.000 0.832 Mo
0.667 0.333 0.600 Mo
0.667 0.333 0.063 W
0.000 0.000 0.550 S
0.000 0.000 0.651 S
0.667 0.333 0.782 S
0.667 0.333 0.882 S

=====

If we sort the structures by their calculated energies, the order from most to least stable is run a, run b.

=====

Ba7Ga4As9 | PBE | optimized geometry

Lattice parameters (Å, degrees): 6.9153 10.2618 17.2810 90.00 90.00 90.00
Atoms (fractional coordinates):
Ba (0.4513, 0.5000, 0.7849)
Ba (0.4513, 0.5000, 0.2151)
Ba (0.5487, 0.0000, 0.7151)
Ba (0.5487, 0.0000, 0.2849)
Ba (0.9453, 0.2766, 0.8750)
Ba (0.9453, 0.7234, 0.8750)
Ba (0.9453, 0.2766, 0.1250)
Ba (0.9453, 0.7234, 0.1250)
Ba (0.0547, 0.2234, 0.6250)
Ba (0.0547, 0.7766, 0.6250)
Ba (0.0547, 0.2234, 0.3750)
Ba (0.0547, 0.7766, 0.3750)
Ba (0.4077, 0.5000, 0.5000)
Ba (0.5923, 0.0000, 0.0000)
Ga (0.7652, 0.5000, 0.3756)
Ga (0.7652, 0.5000, 0.6244)
Ga (0.2348, 0.0000, 0.1244)
Ga (0.2348, 0.0000, 0.8756)
Ga (0.5701, 0.8251, 0.5000)
Ga (0.5701, 0.1749, 0.5000)
Ga (0.4299, 0.6749, 0.0000)
Ga (0.4299, 0.3251, 0.0000)
As (0.5583, 0.2914, 0.3711)
As (0.5583, 0.7086, 0.3711)
As (0.5583, 0.2914, 0.6289)
As (0.5583, 0.7086, 0.6289)
As (0.4417, 0.2086, 0.1289)
As (0.4417, 0.7914, 0.1289)
As (0.4417, 0.2086, 0.8711)
As (0.4417, 0.7914, 0.8711)
As (0.9799, 0.5000, 0.2619)
As (0.9799, 0.5000, 0.7381)
As (0.0201, 0.0000, 0.2381)
As (0.0201, 0.0000, 0.7619)
As (0.6988, 0.5000, 0.0000)
As (0.3012, 0.0000, 0.5000)
As (0.1617, 0.5000, 0.0000)
As (0.8383, 0.0000, 0.5000)